Wednesday, February 10, 2010

Calculated crystals from another source follow:
+++
# NaCa2LaAu4 | Alexandria | GGA-PBE | optimized geometry
# **Electronic total energy**: -3.610 eV per atom
# **ΔE_f**: -0.69 eV per atom
data_NaCa2LaAu4
_cell_length_a 5.1934
_cell_length_b 5.1934
_cell_length_c 25.3956
_cell_angle_alpha 90.00
_cell_angle_beta 90.00
_cell_angle_gamma 120.00
_symmetry_space_group_name_H-M 'R -3 m'
_symmetry_Int_Tables_number 166
_symmetry_space_group_name_Hall '-R 3 2"'
loop_
_atom_site_label
_atom_site_type_symbol
_atom_site_fract_x
_atom_site_fract_y
_atom_site_fract_z
Na1 Na 0.0000 0.0000 0.0000
Ca1 Ca 0.0000 0.0000 0.2570
La1 La 0.0000 0.0000 0.5000
Au1 Au 0.0000 0.0000 0.1299
Au2 Au 0.0000 0.0000 0.3787

=====

# Nb2IrPt2 | Alexandria | GGA-PBE | optimized geometry
# **Energy above the most stable polymorph in this dataset**: 480.7 meV/atom
# **Electronic total energy**: -8.245 eV per atom
# **ΔE_f**: -0.03 eV per atom
data_Nb2IrPt2
_cell_length_a 4.668
_cell_length_b 7.508
_cell_length_c 5.251
_cell_angle_alpha 90.00
_cell_angle_beta 90.00
_cell_angle_gamma 90.00
_symmetry_space_group_name_H-M 'C m m m'
_symmetry_Int_Tables_number 65
_symmetry_space_group_name_Hall '-C 2 2'
loop_
_atom_site_label
_atom_site_type_symbol
_atom_site_fract_x
_atom_site_fract_y
_atom_site_fract_z
Nb1 Nb 0.000 0.000 0.243
Ir1 Ir 0.000 0.500 0.500
Pt1 Pt 0.000 0.330 0.000

=====

# ZrTlCdAg | Alexandria | GGA-PBE | optimized geometry
# **Energy above the most stable polymorph in this dataset**: 119.2 meV/atom
# **Electronic total energy**: -3.580 eV per atom
# **ΔE_f**: 0.09 eV per atom
data_ZrTlCdAg
_cell_length_a 7.012
_cell_length_b 7.012
_cell_length_c 7.012
_cell_angle_alpha 90.00
_cell_angle_beta 90.00
_cell_angle_gamma 90.00
_symmetry_space_group_name_H-M 'F -4 3 m'
_symmetry_Int_Tables_number 216
_symmetry_space_group_name_Hall 'F -4 2 3'
loop_
_atom_site_label
_atom_site_type_symbol
_atom_site_fract_x
_atom_site_fract_y
_atom_site_fract_z
Zr1 Zr 0.000 0.000 0.000
Tl1 Tl 0.250 0.250 0.250
Cd1 Cd 0.000 0.000 0.500
Ag1 Ag 0.250 0.250 0.750

=====

# Mn2Fe2W | Alexandria | GGA-PBE | optimized geometry
# **Energy above the most stable polymorph in this dataset**: 0.0 meV/atom
# **Electronic total energy**: -9.487 eV per atom
# **ΔE_f**: 0.16 eV per atom
data_Mn2Fe2W
_cell_length_a 6.783
_cell_length_b 6.783
_cell_length_c 2.562
_cell_angle_alpha 90.00
_cell_angle_beta 90.00
_cell_angle_gamma 90.00
_symmetry_space_group_name_H-M 'P 4/m b m'
_symmetry_Int_Tables_number 127
_symmetry_space_group_name_Hall '-P 4 2ab'
loop_
_atom_site_label
_atom_site_type_symbol
_atom_site_fract_x
_atom_site_fract_y
_atom_site_fract_z
Mn1 Mn 0.170 0.330 0.000
Fe1 Fe 0.124 0.624 0.500
W1 W 0.000 0.000 0.500

=====

# Sr3Sn3Rh2 | Alexandria | GGA-PBE | optimized geometry
# **Electronic total energy**: -4.579 eV per atom
# **ΔE_f**: -0.61 eV per atom
data_Sr3Sn3Rh2
_cell_length_a 8.669
_cell_length_b 16.200
_cell_length_c 6.273
_cell_angle_alpha 90.00
_cell_angle_beta 90.00
_cell_angle_gamma 90.00
_symmetry_space_group_name_H-M 'P n m a'
+++

San Jose Criminal lawyer-Important Aspects

San Jose Criminal lawyer is the most preferred profession in the North America. There are numerous of students who take entrance exam every year to get into the famous law schools to pursue the criminal law. If you are the one who plans to pursue the criminal law, this article renders you some of the details on the law schools and how you can start the law practice.

With the four years of under graduate degree, you are eligible to write the admission test to enter the law schools that are very famous in the world. Once you enter into the law school, the entire life style of the student will be changed. It is a three years course that is fully focused on the criminal laws. The candidate would be equipped with all the necessary information and knowledge to practice the criminal law in the future. This three years would be very much intensive for the students as they need to pass the bar exam which is conducted at the end of three years. Unless the candidates pass in this bar exam, they are not allowed to take the law practice.

The candidate should be very careful while studying the studies because this is what the knowledge is going to be used in various cases that occur in the real life experience. This knowledge would be very useful to correlate with the situation to take the instant decisions at the time of prosecuting as a defense lawyer. This is the reason why, the course is vey strict and intensive. It is all about protecting the rights of the people by abiding the legal system rules. If the lawyer does the mistake, it will affect the lives of people. So, the san jose criminal lawyers should be very careful in grasping all the required knowledge to take on the real life situations. Of course, the law school defiantly makes the students to enable take on the real life situations.

Computed, not measured: a relaxed CaZn2As2 crystal at the PBE-GGA level of DFT.

It has space group P-3m1 (No. 164), with a = 4.1922 Å, b = 4.1922 Å, c = 7.0328 Å, α = 90.00°, β = 90.00° and γ = 120.00°. Symmetry generates all atoms from Ca at (0.0000, 0.0000, 0.0000), Zn at (0.3333, 0.6667, 0.6311) and As at (0.3333, 0.6667, 0.2576).

The formation energy is -3.3 eV per formula unit.


No. 1
Entry from Alexandria: Hf2BeMo after structural relaxation (GGA-PBE).

abc: 2.8587 2.8587 31.6830
angles: 90.00 90.00 120.00
Space group R-3m (No. 166, hexagonal axes)
Asymmetric unit:
Hf  0.0000  0.0000  0.0846 (multiplicity 6)
Be  0.0000  0.0000  0.0000 (multiplicity 3)
Mo  0.0000  0.0000  0.5000 (multiplicity 3)

**Formation energy**: 0.740 eV/atom
**Magnetization**: 0.00 μB per cell

No. 2
Entry from Alexandria: HfBe17Mo after structural relaxation (GGA-PBE).

abc: 7.3821 7.3821 10.7526
angles: 90.00 90.00 120.00
Space group R3m (No. 160, hexagonal axes)
Asymmetric unit:
Hf  0.0000  0.0000  0.0000 (multiplicity 3)
Be  0.0000  0.0000  0.2447 (multiplicity 3)
Be  0.0000  0.0000  0.4419 (multiplicity 3)
Be  0.0029  0.5015  0.8397 (multiplicity 9)
Be  0.0035  0.2958  0.3403 (multiplicity 18)
Be  0.0083  0.5042  0.4957 (multiplicity 9)
Be  0.1671  0.3341  0.5175 (multiplicity 9)
Mo  0.0000  0.0000  0.6812 (multiplicity 3)

**Formation energy**: -0.183 eV/atom
**Magnetization**: 0.00 μB per cell

No. 3
Entry from Alexandria: HfBe2Mo after structural relaxation (GGA-PBE).

abc: 6.0053 6.0053 6.0053
angles: 90.00 90.00 90.00
Space group Fm-3m (No. 225)
Asymmetric unit:
Hf  0.0000  0.0000  0.0000 (multiplicity 4)
Be  0.2500  0.2500  0.2500 (multiplicity 8)
Mo  0.0000  0.0000  0.5000 (multiplicity 4)

**E above lowest polymorph**: 0 meV per atom
**Formation energy**: 0.048 eV/atom
**Magnetization**: 0.06 μB per cell

No. 4
Entry from Alexandria: Na2HfBeMo after structural relaxation (GGA-PBE).

abc: 5.1704 5.1704 4.3307
angles: 90.00 90.00 90.00
Space group P4/mmm (No. 123)
Asymmetric unit:
Na  0.0000  0.5000  0.0000 (multiplicity 2)
Hf  0.0000  0.0000  0.5000 (multiplicity 1)
Be  0.5000  0.5000  0.5000 (multiplicity 1)
Mo  0.5000  0.5000  0.0000 (multiplicity 1)

**Formation energy**: 1.796 eV/atom
**Magnetization**: 1.16 μB per cell

No. 5
Entry from Alexandria: HfBe2NbMo after structural relaxation (GGA-PBE).

abc: 4.4003 4.4003 4.6651
angles: 90.00 90.00 90.00
Space group P4/mmm (No. 123)
Asymmetric unit:
Hf  0.0000  0.0000  0.0000 (multiplicity 1)
Be  0.0000  0.5000  0.5000 (multiplicity 2)
Nb  0.5000  0.5000  0.5000 (multiplicity 1)
Mo  0.5000  0.5000  0.0000 (multiplicity 1)

**Formation energy**: 1.163 eV/atom
**Magnetization**: 0.00 μB per cell

Q: Look up the formation energy of the second one.
A: -0.183 eV/atom


Entry 1:
This record from Alexandria describes crystalline LaPr2DySc at its relaxed geometry. The functional is PBE-GGA.

abc: 6.7563 7.7861 6.3554
angles: 90.00 90.00 90.00
With the nearest neighbours (Å) after each atom.

The bar exam is considered as the main gate pass for the candidates who plan to start their own practice. If the candidate does not pass the bar exam, he is not allowed to handle the clients. The bar exam is the real test for the candidate and tests the attitude and knowledge levels of the candidates who study in the law schools. The candidates who qualify in this bar exam get the law degree that is very powerful and valuable in the life. Of course students work hard to get that degree only.

The candidates who passed in this exam are tagged as the San Jose Criminal lawyers. This is a great profession to pursue with great job satisfaction and enough money earning opportunities. If you are a person who really dreams to take the criminal law as a career, you need to start looking for it from your earlier studies.